File =
- - -
[1]
Formula: C6H10O
Source: OMol25
Level of theory: ωB97M-V/def2-TZVPD

LUMO   0.690 eV
DFT total energy   -8429.67366 eV
Energy relative to the best compared isomer or geometry (same formula, charge and spin)   1.5667 eV
HOMO energy   -8.96 eV

The geometry in XYZ format:
```
17
Properties=species:S:1:pos:R:3:forces:R:3:lowdin_charge:R:1
C 0.80874 -1.58622 1.84634 0.047 -0.076 -0.051 -0.054
C -0.40807 -1.05242 1.14045 -0.168 -0.243 -0.132 -0.353
C 1.28724 1.05586 -0.44224 -0.105 0.003 -0.127 -0.016
C 0.61373 0.70992 -1.54231 0.127 0.042 0.123 -0.181
C -0.84459 0.74057 -1.76075 -0.157 0.073 0.091 -0.190
C -1.78156 1.20155 -0.93193 0.139 -0.011 -0.106 0.001
O -1.06541 -1.68802 0.35337 0.267 0.198 0.386 0.038
H 1.58369 -0.81946 1.94628 -0.148 -0.090 -0.031 0.069
H 1.19536 -2.45558 1.31082 -0.035 0.091 0.092 0.084
H 0.51117 -1.89359 2.85665 0.039 0.055 -0.102 0.084
H -0.70289 -0.01568 1.41477 -0.044 -0.169 -0.033 0.099
H 2.36824 0.95355 -0.39916 -0.165 0.059 -0.039 0.059
H 0.80242 1.45035 0.44859 0.029 -0.036 -0.172 0.054
H 1.18978 0.32882 -2.38449 -0.065 0.040 0.122 0.094
H -1.17191 0.29926 -2.70034 0.036 0.050 0.129 0.095
H -1.55185 1.65857 0.02854 0.027 -0.044 -0.166 0.055
H -2.83409 1.11254 -1.18460 0.176 0.058 0.017 0.061
```
Positions in Å, forces in eV/Å.

---

[2]
Formula: C27H39IN2O8
Source: OMol25
Level of theory: ωB97M-V/def2-TZVPD

LUMO   -0.268 eV
DFT total energy   -56094.48533 eV
HOMO energy   -9.15 eV

The geometry in XYZ format:
```
77
Properties=species:S:1:pos:R:3:forces:R:3:lowdin_charge:R:1
C 6.64681 -0.07641 1.08359 -0.132 -0.063 0.121 -0.084
C 5.21202 0.27952 1.50519 0.056 -0.351 -0.447 -0.396
C 4.34837 -0.99876 1.56304 -0.080 0.115 0.179 -0.061
C 4.60821 1.29899 0.50073 0.092 0.164 0.386 -0.108
C 3.86998 2.42681 1.17711 -0.019 -0.097 -0.169 -0.125
C 4.53515 3.28954 2.05024 -0.069 0.248 0.223 0.017
C 3.90783 4.35024 2.70659 0.277 -0.193 -0.022 -0.213
C 4.70073 5.21344 3.65367 -0.308 0.372 -0.065 -0.222
C 4.48091 4.93856 5.15177 0.383 -0.400 -0.024 -0.749
C 4.43784 3.44750 5.53019 -0.005 0.025 0.130 -0.145
I 2.76004 5.97527 5.92086 -0.036 0.053 0.004 0.834
C 2.54944 4.58793 2.49059 -0.140 0.080 -0.068 0.038
C 1.88508 3.73443 1.64528 0.073 -0.163 -0.102 -0.059
C 2.52293 2.68040 0.99694 -0.130 0.063 0.082 -0.022
C 1.49502 1.96022 0.18775 -0.188 0.062 -0.237 -0.328
O 1.63349 1.06112 -0.60816 -0.049 -0.141 0.286 0.110
N 0.26930 2.57634 0.47053 0.332 -0.055 0.243 0.035
C -1.01455 1.93979 0.24495 -0.151 0.289 -0.211 -0.121
C -1.58014 1.26542 1.50534 -0.493 -0.103 -0.161 -0.154
C -2.26323 -0.09177 1.21739 0.304 0.096 0.241 -0.187
C -1.75861 -1.24901 2.09573 -0.200 -0.323 -0.180 -0.276
N -2.83758 -2.21121 2.38633 0.205 -0.014 0.086 -0.004
C 0.43889 3.70472 1.27835 -0.039 0.060 -0.178 -0.351
O -0.42732 4.48929 1.56505 -0.070 -0.150 0.180 0.138
H 6.69404 -0.18885 -0.00212 0.033 -0.029 0.012 0.081
H 6.96365 -1.02683 1.51893 0.035 0.100 0.092 0.074
H 7.36022 0.69433 1.38199 -0.002 0.020 -0.085 0.074
H 5.24613 0.72483 2.50145 -0.046 0.057 -0.020 0.116
H 4.79970 -1.79683 0.97025 -0.061 0.035 -0.066 0.076
H 3.34171 -0.82806 1.17694 0.003 0.016 0.054 0.068
H 4.24435 -1.36956 2.58441 0.086 -0.038 -0.026 0.075
H 5.41650 1.74441 -0.08607 -0.048 -0.010 -0.043 0.123
H 3.92848 0.78400 -0.17506 0.148 0.051 -0.128 0.102
H 5.59235 3.13092 2.24479 -0.015 -0.029 -0.069 0.130
H 4.44851 6.25851 3.45540 0.135 -0.012 0.031 0.101
H 5.76959 5.11130 3.44562 -0.034 -0.152 0.023 0.119
H 5.30797 5.40412 5.68273 -0.161 0.153 0.022 0.060
H 5.25189 3.20334 6.21536 -0.030 0.038 -0.031 0.076
H 3.50840 3.17749 6.02813 0.029 -0.033 -0.066 0.045
H 4.53619 2.80899 4.65267 -0.006 0.028 -0.016 0.060
H 2.03024 5.40815 2.96904 0.015 -0.015 0.003 0.092
H -0.88362 1.22752 -0.56984 0.158 -0.024 0.096 0.109
H -1.70960 2.70283 -0.11037 0.060 -0.011 -0.012 0.129
H -0.80560 1.15064 2.26686 0.144 -0.034 -0.142 0.111
H -2.32815 1.93801 1.93067 0.172 0.016 0.145 0.111
H -3.33992 -0.03104 1.37500 0.027 0.052 -0.124 0.104
- - -
Wanted =
Your job: search the lines above for the word "Positions" and type out each line that has it.
Completed =
Positions in Å, forces in eV/Å.